This Article is From Jan 10, 2012

What's India's airline regulator worried about?

New York: India's airlines have a host of problems, according to a report by the Directorate General of Civil Aviation prepared late last month.

The report includes numerous complaints about several airlines. Important highlights are below, and a scan of the report can be read here.

Alliance Air, a regional arm of Air India:
  • Shortage of commanders.
  • Shortage of trainee pilots on "ATR type" aircraft, which are regional turbo-prop planes.

JetLite, the low-cost arm of Jet Airways
  • "Acute shortage" of operating personnel including pilots and cabin crew.
  • Backlog in training.
  • No software to monitor when parameters in the digital flight recorder are exceeded. The digital flight data recorder takes hundreds of measurements during every flight and can flag small pilot errors or unusual flying procedures that could turn into larger problems later.
In response to questions about the report, Jet Airways said in a statement:

"At Jet Airways, safety is of paramount importance." The airline's fleet of 101 aircraft is the "youngest fleet in the world," Jet said, and the "operations of our airline are carried out with the highest safety standards." All points in the report "have been clarified and accepted by the safety department of DGCA. Guest safety is of paramount importance at Jet Airways and Jet Lite; and we comply with all requirements laid down by the DGCA," Jet said.

(Attached: molecular data)
____________
[1]
{
  "formula": "C35H52Cl21N4O6P",
  "method": "ωB97M-V/def2-TZVPD",
  "e_tot_ha": -12039.65361,
  "charge": 0,
  "lumo_energy_ev": -0.08,
  "elements": ["C", "C", "C", "C", "C", "C", "O", "C", "C", "O", "C", "C", "C", "C", "C", "C", "C", "O", "N", "C", "N", "C", "C", "C", "C", "N", "C", "C", "C", "C", "C", "C", "C", "O", "C", "N", "P", "O", "O", "H", "H", "H", "H", "H", "H", "H", "H", "H", "H", "H", "H", "H", "H", "H", "H", "H", "H", "H", "H", "H", "H", "H", "H", "H", "H", "H", "H", "H", "H", "H", "H", "H", "H", "H", "H", "H", "H", "H", "H", "H", "H", "H", "H", "H", "C", "Cl", "Cl", "Cl", "H", "C", "Cl", "Cl", "Cl", "H", "C", "Cl", "Cl", "Cl", "H", "C", "Cl", "Cl", "Cl", "H", "C", "Cl", "Cl", "Cl", "H", "C", "Cl", "Cl", "Cl", "H", "C", "Cl", "Cl", "Cl", "H"],
____________

  • No qualified instructor for the Boeing 737 fleets.
  • FOQA counseling procedure "needs a review." FOQA, or flight operations quality assurance, is an internal benchmarking system airlines use to make sure pilots are following correct flying procedure.

Blue Dart, an all-cargo airline based in Chennai.
  • No dedicated communication channel for two-way communication with aircraft.

  • A large number of "premature engine removals" from Jan. to Oct. 2011, indicating that extended operations or long-haul operations need review.
  • Investigation of incidents is "improper," because a large number are closed after a one page report, without approval of the regulator.
  • Parameters for internal benchmarks, or FOQAs, are "unrealistic" and "need urgent review."
  • Review of airline scheduling systems necessary.
  • Shortage of training examiners and instructors.
  • Airline fleet's fast growth plan "needs to be reviewed in view of the serious findings in the audit report."
In a long, point-by-point response, Indigo said that it had encouraged the reporting of safety incidents, that it was following Federal Aviation Administration recommendations when it removed engines in question, and that it had overhired pilots and trained them well.

Air India Express, the low-cost arm of Air India
  • The chief of operations is "not effective" because corrective action was not taken when pilots violate FOQA parameters, and violations of these parameters increased from 2010 to 2011.
  • There is a shortage of pilots, check-pilots, instructors, examiners and cabin crew, and no deputy chief of flight safety.
  • FDTL, or Flight and Duty Time Limitations, monitoring, which checks whether pilots and crew are getting adequate rest between flights, is done manually rather than by computer.
Kingfisher Airlines
  • Nearly one-third of the fleet is grounded because of the need for spare parts and engines.
  • A total of 24 pilots have left in the past two months.
  • Most of the employees have not been paid their salary up to 2011.

Jet Airways
  • Not enough trainers for regulatory requirements.
  • A backlog of pilots and cabin crew who need training.
  • International stations were "not audited by the flight safety department for the last two consecutive years."
  • Airline has not recruited pilots to cater for the 2011 operational plan.
  • Airline canceled one-third of flights because of low passenger loads.
Go Air
  • Number of training captains is "very less vis-a-vis the total number of pilots in the company."
  • Engineering audits for 2010 have not been carried out as planned.
In response to questions about the report, Go Air said it met with the DGCA Jan. 6th, and "we shared with them our views." The DGCA "fully accepted our position," Go Air said.

"GoAir has always been committed to guarantee high safety standard and will continue to invest all the resources necessary to keep our standards at the highest level."

